____________
Simulated X-ray powder pattern of BaCu2Ag2O4 for Cu Kα (weighted mean of Kα1 and Kα2), from a PBE-relaxed structure.

Largest 10 diffraction maxima, low angle first, 10° ≤ 2θ ≤ 90°:
(hkl)  2θ (°)  I_rel
1 1 1  23.2  16
2 0 1  30.3  100
1 1 2  32.3  45
2 0 2  37.9  13
2 2 0  39.0  56
2 0 3  48.3  20
3 1 2  51.5  19
4 0 0  56.4  19
4 2 1  65.3  22
2 2 4  67.6  16

Cell and atoms:
```
BaCu2Ag2O4
1.0
6.5269 0.0000 0.0000
0.0000 6.5269 0.0000
0.0000 0.0000 6.9279
Ba Cu Ag O
2 4 4 8
Direct
0.2500 0.2500 0.0000
0.7500 0.7500 0.0000
0.2500 0.7500 0.2224
0.2500 0.7500 0.7776
0.7500 0.2500 0.2224
0.7500 0.2500 0.7776
0.0000 0.0000 0.5000
0.0000 0.5000 0.5000
0.5000 0.0000 0.5000
0.5000 0.5000 0.5000
0.0560 0.5560 0.2113
0.0560 0.9440 0.7887
0.4440 0.5560 0.7887
0.4440 0.9440 0.2113
0.5560 0.0560 0.7887
0.5560 0.4440 0.2113
0.9440 0.0560 0.2113
0.9440 0.4440 0.7887
```

----------

No. 1
This entry pairs a crystal structure of HoCuPbS3 with its calculated powder XRD pattern. Radiation: a wavelength of 1.5418 Å. Structure: a structure optimized by DFT (PBE).
Kinematic intensities with the Lorentz-polarization factor, no thermal factor.

Principal peaks in the range 2θ = 15–90°, low angle first:
Position (°2θ), I_rel
19.2, 35.0
24.8, 100.0
25.7, 28.1
26.9, 36.1
28.9, 39.8
33.3, 76.4
36.6, 55.4
37.2, 51.8
37.5, 32.5
46.5, 34.9

Atomic structure:
```
12
Lattice="7.4889 0.0000 0.0000 0.0000 3.9054 0.0000 -2.6578 0.0000 9.2241" Properties=species:S:1:pos:R:3 pbc="T T T"
Ho 1.0365 0.9764 1.4737
Ho 3.7947 2.9291 7.7505
Cu 2.0131 2.9291 3.8089
Cu 2.8181 0.9764 5.4153
Pb -0.0291 2.9291 6.4406
Pb 4.8603 0.9764 2.7836
S -1.7770 0.9764 7.9590
S 0.6605 0.9764 4.1755
S 2.8940 2.9291 1.6342
S 1.9371 0.9764 7.5900
S 4.1707 2.9291 5.0487
S 6.6082 2.9291 1.2652
```

***

No. 2
This entry pairs a crystal structure of HoTmCu2Pb with its calculated powder XRD pattern. Radiation: a wavelength of 1.5418 Å. Structure: a structure optimized by DFT (PBE).
Kinematic intensities with the Lorentz-polarization factor, no thermal factor.

Principal peaks in the range 2θ = 15–90°, low angle first:
Position (°2θ), I_rel
28.7, 47.3
33.2, 100.0
35.8, 64.1
38.9, 46.1
43.0, 26.2
50.2, 16.6
57.1, 33.7
57.2, 16.2
58.8, 13.4
65.2, 20.7

Atomic structure:
```
5
Lattice="3.6363 0.0000 0.0000 0.0000 2.1047 6.9456 0.0000 -2.1047 6.9456" Properties=species:S:1:pos:R:3 pbc="T T T"
Ho 0.0000 0.0000 0.0000
Tm 0.0000 0.0000 3.7682
Cu 1.8181 0.0000 5.9865
Cu 1.8181 0.0000 11.6421
Pb 1.8181 0.0000 8.8327
```

***

No. 3
This entry pairs a crystal structure of Ho2CuPd with its calculated powder XRD pattern. Radiation: a wavelength of 1.5418 Å. Structure: a structure optimized by DFT (PBE).
Kinematic intensities with the Lorentz-polarization factor, no thermal factor.

Principal peaks in the range 2θ = 15–90°, low angle first:
Position (°2θ), I_rel
28.7, 68.5
32.2, 91.6
35.3, 76.7
36.3, 100.0
40.1, 60.4
40.7, 85.1
41.8, 37.6
54.5, 45.7
54.6, 23.4
59.3, 26.5

Atomic structure:
```
8
Lattice="4.4947 0.0000 0.0000 0.0000 5.4585 0.0000 0.0000 0.0000 7.0646" Properties=species:S:1:pos:R:3 pbc="T T T"
Ho 0.0000 0.6195 0.0000
Ho 0.0000 4.8391 3.5323
Ho 2.2473 2.0972 4.4926
Ho 2.2473 3.3614 0.9603
Cu 0.0000 2.1079 2.5048
Cu 0.0000 3.3506 6.0371
Pd 2.2473 0.6237 1.9951
Pd 2.2473 4.8348 5.5273
```

***

Repeat the first record exactly.
This entry pairs a crystal structure of HoCuPbS3 with its calculated powder XRD pattern. Radiation: a wavelength of 1.5418 Å. Structure: a structure optimized by DFT (PBE).
Kinematic intensities with the Lorentz-polarization factor, no thermal factor.

Principal peaks in the range 2θ = 15–90°, low angle first:
Position (°2θ), I_rel
19.2, 35.0
24.8, 100.0
25.7, 28.1
26.9, 36.1
28.9, 39.8
33.3, 76.4
36.6, 55.4
37.2, 51.8
37.5, 32.5
46.5, 34.9

Atomic structure:
```
12
Lattice="7.4889 0.0000 0.0000 0.0000 3.9054 0.0000 -2.6578 0.0000 9.2241" Properties=species:S:1:pos:R:3 pbc="T T T"
Ho 1.0365 0.9764 1.4737
Ho 3.7947 2.9291 7.7505
Cu 2.0131 2.9291 3.8089
____________
Could you repeat the lines further above exactly?
Simulated X-ray powder pattern of BaCu2Ag2O4 for Cu Kα (weighted mean of Kα1 and Kα2), from a PBE-relaxed structure.

Largest 10 diffraction maxima, low angle first, 10° ≤ 2θ ≤ 90°:
(hkl)  2θ (°)  I_rel
1 1 1  23.2  16
2 0 1  30.3  100
1 1 2  32.3  45
2 0 2  37.9  13
2 2 0  39.0  56
2 0 3  48.3  20
3 1 2  51.5  19
4 0 0  56.4  19
4 2 1  65.3  22
2 2 4  67.6  16

Cell and atoms:
```
BaCu2Ag2O4
1.0
6.5269 0.0000 0.0000
0.0000 6.5269 0.0000
0.0000 0.0000 6.9279
Ba Cu Ag O
2 4 4 8
Direct
0.2500 0.2500 0.0000
0.7500 0.7500 0.0000
0.2500 0.7500 0.2224
0.2500 0.7500 0.7776
0.7500 0.2500 0.2224
0.7500 0.2500 0.7776
0.0000 0.0000 0.5000
0.0000 0.5000 0.5000
0.5000 0.0000 0.5000
0.5000 0.5000 0.5000
0.0560 0.5560 0.2113
0.0560 0.9440 0.7887
0.4440 0.5560 0.7887
0.4440 0.9440 0.2113
0.5560 0.0560 0.7887
0.5560 0.4440 0.2113
0.9440 0.0560 0.2113
0.9440 0.4440 0.7887
```

----------

No. 1
This entry pairs a crystal structure of HoCuPbS3 with its calculated powder XRD pattern. Radiation: a wavelength of 1.5418 Å. Structure: a structure optimized by DFT (PBE).
Kinematic intensities with the Lorentz-polarization factor, no thermal factor.

Principal peaks in the range 2θ = 15–90°, low angle first:
Position (°2θ), I_rel
19.2, 35.0
24.8, 100.0
25.7, 28.1
26.9, 36.1
28.9, 39.8
33.3, 76.4
36.6, 55.4
37.2, 51.8
37.5, 32.5
46.5, 34.9

Atomic structure:
```
12
Lattice="7.4889 0.0000 0.0000 0.0000 3.9054 0.0000 -2.6578 0.0000 9.2241" Properties=species:S:1:pos:R:3 pbc="T T T"
Ho 1.0365 0.9764 1.4737
Ho 3.7947 2.9291 7.7505
Cu 2.0131 2.9291 3.8089
Cu 2.8181 0.9764 5.4153
Pb -0.0291 2.9291 6.4406
Pb 4.8603 0.9764 2.7836
S -1.7770 0.9764 7.9590
S 0.6605 0.9764 4.1755
S 2.8940 2.9291 1.6342
S 1.9371 0.9764 7.5900
S 4.1707 2.9291 5.0487
S 6.6082 2.9291 1.2652
```

***

No. 2
This entry pairs a crystal structure of HoTmCu2Pb with its calculated powder XRD pattern. Radiation: a wavelength of 1.5418 Å. Structure: a structure optimized by DFT (PBE).
Kinematic intensities with the Lorentz-polarization factor, no thermal factor.

Principal peaks in the range 2θ = 15–90°, low angle first:
Position (°2θ), I_rel
28.7, 47.3
33.2, 100.0
35.8, 64.1
38.9, 46.1
43.0, 26.2
50.2, 16.6
57.1, 33.7
57.2, 16.2
58.8, 13.4
65.2, 20.7

Atomic structure:
```
5
Lattice="3.6363 0.0000 0.0000 0.0000 2.1047 6.9456 0.0000 -2.1047 6.9456" Properties=species:S:1:pos:R:3 pbc="T T T"
Ho 0.0000 0.0000 0.0000
Tm 0.0000 0.0000 3.7682
Cu 1.8181 0.0000 5.9865
Cu 1.8181 0.0000 11.6421
Pb 1.8181 0.0000 8.8327
```

***

No. 3
This entry pairs a crystal structure of Ho2CuPd with its calculated powder XRD pattern. Radiation: a wavelength of 1.5418 Å. Structure: a structure optimized by DFT (PBE).
Kinematic intensities with the Lorentz-polarization factor, no thermal factor.

Principal peaks in the range 2θ = 15–90°, low angle first:
Position (°2θ), I_rel
28.7, 68.5
32.2, 91.6
35.3, 76.7
36.3, 100.0
40.1, 60.4
40.7, 85.1
41.8, 37.6
54.5, 45.7
54.6, 23.4
59.3, 26.5

Atomic structure:
```
8
Lattice="4.4947 0.0000 0.0000 0.0000 5.4585 0.0000 0.0000 0.0000 7.0646" Properties=species:S:1:pos:R:3 pbc="T T T"
Ho 0.0000 0.6195 0.0000
Ho 0.0000 4.8391 3.5323
Ho 2.2473 2.0972 4.4926
Ho 2.2473 3.3614 0.9603
Cu 0.0000 2.1079 2.5048
Cu 0.0000 3.3506 6.0371
Pd 2.2473 0.6237 1.9951
Pd 2.2473 4.8348 5.5273
```

***

Repeat the first record exactly.
This entry pairs a crystal structure of HoCuPbS3 with its calculated powder XRD pattern. Radiation: a wavelength of 1.5418 Å. Structure: a structure optimized by DFT (PBE).
Kinematic intensities with the Lorentz-polarization factor, no thermal factor.

Principal peaks in the range 2θ = 15–90°, low angle first:
Position (°2θ), I_rel
19.2, 35.0
24.8, 100.0
25.7, 28.1
26.9, 36.1
28.9, 39.8
33.3, 76.4
36.6, 55.4
37.2, 51.8
37.5, 32.5
46.5, 34.9

Atomic structure:
```
12
Lattice="7.4889 0.0000 0.0000 0.0000 3.9054 0.0000 -2.6578 0.0000 9.2241" Properties=species:S:1:pos:R:3 pbc="T T T"
Ho 1.0365 0.9764 1.4737
Ho 3.7947 2.9291 7.7505
Cu 2.0131 2.9291 3.8089